-- begin --
This entry pairs a crystal structure of Er2Si3Rh with its calculated powder X-ray diffraction pattern. Radiation: λ = 1.5418 Å (Cu Kα). Structure: the GGA-PBE geometry in the Materials Project.
Neutral-atom scattering factors, no anomalous dispersion.

Main lines, by angle (2θ from 10° to 90°):
25.3 deg, I = 33
34.3 deg, I = 100
44.5 deg, I = 36
46.4 deg, I = 10
53.6 deg, I = 10
57.4 deg, I = 22
66.3 deg, I = 19
75.4 deg, I = 19
78.2 deg, I = 8
82.0 deg, I = 6

Structural model:
Lattice parameters (Å, degrees): 8.138 8.138 7.823 90.00 90.00 120.00
Sites, in units of the cell vectors:
Er 0.000 0.000 0.250
Er 0.000 0.000 0.750
Er 0.018 0.509 0.250
Er 0.491 0.509 0.250
Er 0.491 0.982 0.250
Er 0.509 0.018 0.750
Er 0.509 0.491 0.750
Er 0.982 0.491 0.750
Si 0.167 0.334 0.000
Si 0.167 0.334 0.500
Si 0.167 0.833 0.000
Si 0.167 0.833 0.500
Si 0.334 0.167 0.000
Si 0.334 0.167 0.500
Si 0.666 0.833 0.000
Si 0.666 0.833 0.500
Si 0.833 0.167 0.000
Si 0.833 0.167 0.500
Si 0.833 0.666 0.000
Si 0.833 0.666 0.500
Rh 0.333 0.667 0.533
Rh 0.333 0.667 0.967
Rh 0.667 0.333 0.033
Rh 0.667 0.333 0.467

---

This entry pairs a crystal structure of ErSi2Rh2 with its calculated powder X-ray diffraction pattern. Radiation: λ = 1.5418 Å (Cu Kα). Structure: the GGA-PBE geometry in the Materials Project.
Neutral-atom scattering factors, no anomalous dispersion.

Main lines, by angle (2θ from 10° to 90°):
23.7 deg, I = 26
34.9 deg, I = 26
36.1 deg, I = 100
44.7 deg, I = 30
51.2 deg, I = 17
57.9 deg, I = 12
58.7 deg, I = 15
65.0 deg, I = 24
70.2 deg, I = 10
76.7 deg, I = 28

Structural model:
Lattice parameters (Å, degrees): 4.057 4.057 9.948 90.00 90.00 90.00
Sites, in units of the cell vectors:
Er 0.000 0.000 0.000
Er 0.500 0.500 0.500
Si 0.000 0.000 0.379
Si 0.000 0.000 0.621
Si 0.500 0.500 0.121
Si 0.500 0.500 0.879
Rh 0.000 0.500 0.250
Rh 0.000 0.500 0.750
Rh 0.500 0.000 0.250
Rh 0.500 0.000 0.750

=====

This entry pairs a crystal structure of Y8C3N with its simulated powder XRD pattern. Radiation: λ = 1.5418 Å (Cu Kα). Structure: a cell relaxed with PBE.
Intensities are scaled so that the largest is 100.

Crystal structure
```
Y8C3N
1.0
6.2095 -3.5866 0.0000
6.2095 3.5866 0.0000
-4.1490 0.0000 6.0826
Y C N
8 3 1
Cartesian
-0.0112 0.0000 4.3836
3.1028 1.7983 4.3840
2.0655 0.0000 1.6730
5.1672 1.7983 1.6986
3.1028 -1.7983 4.3840
6.2045 0.0000 4.4096
5.1672 -1.7983 1.6986
8.2811 0.0000 1.6990
1.0302 1.7933 3.0413
1.0302 -1.7933 3.0413
4.1350 0.0000 3.0413
-2.0745 0.0000 3.0413
```

Main lines, in order of falling intensity (15 to 90 degrees two-theta):
Position (°2θ)  I_rel
30.4  100
35.0  85
29.4  32
50.9  29
49.6  25
59.9  17
63.3  14
60.5  14
85.4  12
82.9  11

=====

(1)
# Li2BeGe
Theoretical powder diffraction line list, Cu Kα X-rays. Input: a cell relaxed with GGA-PBE.
No peak broadening, texture or thermal motion is included.

Main lines, in order of rising 2θ (2θ from 15° to 90°):
- hkl 2 0 -1, 2θ = 19.78°, rel. 24
- hkl 2 0 0, 2θ = 21.39°, rel. 50
- hkl 2 0 -2, 2θ = 26.09°, rel. 30
- hkl 1 1 -1, 2θ = 26.58°, rel. 100
- hkl 1 1 1, 2θ = 30.91°, rel. 38
- hkl 1 1 -3, 2θ = 43.98°, rel. 26

```
data_Li2BeGe
_symmetry_space_group_name_H-M 'C 1 m 1'
_symmetry_Int_Tables_number 8
_symmetry_space_group_name_Hall 'C -2y'
_cell_length_a 9.1800
_cell_length_b 3.8460
_cell_length_c 7.4189
_cell_angle_alpha 90.00
_cell_angle_beta 115.15
_cell_angle_gamma 90.00
loop_
_atom_site_label
_atom_site_type_symbol
_atom_site_fract_x
_atom_site_fract_y
_atom_site_fract_z
Li1 Li 0.0000 0.0000 0.0000
Li2 Li 0.0014 0.0000 0.4966
Li3 Li 0.1285 0.5000 0.3378
Li4 Li 0.3759 0.0000 0.6584
Be1 Be 0.2436 0.5000 0.0654
Be2 Be 0.2542 0.0000 0.9254
Ge1 Ge 0.2032 0.5000 0.7354
Ge2 Ge 0.2992 0.0000 0.2570
```

---

(2)
# Li2Be2Ni5Ge
Theoretical powder diffraction line list, Cu Kα X-rays. Input: a cell relaxed with GGA-PBE.
No peak broadening, texture or thermal motion is included.

Main lines, in order of rising 2θ (2θ from 15° to 90°):
- hkl 2 0 0, 2θ = 20.97°, rel. 41
-- stop --

It remains to give back the material further above exactly.

This entry pairs a crystal structure of Er2Si3Rh with its calculated powder X-ray diffraction pattern. Radiation: λ = 1.5418 Å (Cu Kα). Structure: the GGA-PBE geometry in the Materials Project.
Neutral-atom scattering factors, no anomalous dispersion.

Main lines, by angle (2θ from 10° to 90°):
25.3 deg, I = 33
34.3 deg, I = 100
44.5 deg, I = 36
46.4 deg, I = 10
53.6 deg, I = 10
57.4 deg, I = 22
66.3 deg, I = 19
75.4 deg, I = 19
78.2 deg, I = 8
82.0 deg, I = 6

Structural model:
Lattice parameters (Å, degrees): 8.138 8.138 7.823 90.00 90.00 120.00
Sites, in units of the cell vectors:
Er 0.000 0.000 0.250
Er 0.000 0.000 0.750
Er 0.018 0.509 0.250
Er 0.491 0.509 0.250
Er 0.491 0.982 0.250
Er 0.509 0.018 0.750
Er 0.509 0.491 0.750
Er 0.982 0.491 0.750
Si 0.167 0.334 0.000
Si 0.167 0.334 0.500
Si 0.167 0.833 0.000
Si 0.167 0.833 0.500
Si 0.334 0.167 0.000
Si 0.334 0.167 0.500
Si 0.666 0.833 0.000
Si 0.666 0.833 0.500
Si 0.833 0.167 0.000
Si 0.833 0.167 0.500
Si 0.833 0.666 0.000
Si 0.833 0.666 0.500
Rh 0.333 0.667 0.533
Rh 0.333 0.667 0.967
Rh 0.667 0.333 0.033
Rh 0.667 0.333 0.467

---

This entry pairs a crystal structure of ErSi2Rh2 with its calculated powder X-ray diffraction pattern. Radiation: λ = 1.5418 Å (Cu Kα). Structure: the GGA-PBE geometry in the Materials Project.
Neutral-atom scattering factors, no anomalous dispersion.

Main lines, by angle (2θ from 10° to 90°):
23.7 deg, I = 26
34.9 deg, I = 26
36.1 deg, I = 100
44.7 deg, I = 30
51.2 deg, I = 17
57.9 deg, I = 12
58.7 deg, I = 15
65.0 deg, I = 24
70.2 deg, I = 10
76.7 deg, I = 28

Structural model:
Lattice parameters (Å, degrees): 4.057 4.057 9.948 90.00 90.00 90.00
Sites, in units of the cell vectors:
Er 0.000 0.000 0.000
Er 0.500 0.500 0.500
Si 0.000 0.000 0.379
Si 0.000 0.000 0.621
Si 0.500 0.500 0.121
Si 0.500 0.500 0.879
Rh 0.000 0.500 0.250
Rh 0.000 0.500 0.750
Rh 0.500 0.000 0.250
Rh 0.500 0.000 0.750

=====

This entry pairs a crystal structure of Y8C3N with its simulated powder XRD pattern. Radiation: λ = 1.5418 Å (Cu Kα). Structure: a cell relaxed with PBE.
Intensities are scaled so that the largest is 100.

Crystal structure
```
Y8C3N
1.0
6.2095 -3.5866 0.0000
6.2095 3.5866 0.0000
-4.1490 0.0000 6.0826
Y C N
8 3 1
Cartesian
-0.0112 0.0000 4.3836
3.1028 1.7983 4.3840
2.0655 0.0000 1.6730
5.1672 1.7983 1.6986
3.1028 -1.7983 4.3840
6.2045 0.0000 4.4096
5.1672 -1.7983 1.6986
8.2811 0.0000 1.6990
1.0302 1.7933 3.0413
1.0302 -1.7933 3.0413
4.1350 0.0000 3.0413
-2.0745 0.0000 3.0413
```

Main lines, in order of falling intensity (15 to 90 degrees two-theta):
Position (°2θ)  I_rel
30.4  100
35.0  85
29.4  32
50.9  29
49.6  25
59.9  17
63.3  14
60.5  14
85.4  12
82.9  11

=====

(1)
# Li2BeGe
Theoretical powder diffraction line list, Cu Kα X-rays. Input: a cell relaxed with GGA-PBE.
No peak broadening, texture or thermal motion is included.

Main lines, in order of rising 2θ (2θ from 15° to 90°):
- hkl 2 0 -1, 2θ = 19.78°, rel. 24
- hkl 2 0 0, 2θ = 21.39°, rel. 50
- hkl 2 0 -2, 2θ = 26.09°, rel. 30
- hkl 1 1 -1, 2θ = 26.58°, rel. 100
- hkl 1 1 1, 2θ = 30.91°, rel. 38
- hkl 1 1 -3, 2θ = 43.98°, rel. 26

```
data_Li2BeGe
_symmetry_space_group_name_H-M 'C 1 m 1'
_symmetry_Int_Tables_number 8
_symmetry_space_group_name_Hall 'C -2y'
_cell_length_a 9.1800
_cell_length_b 3.8460
_cell_length_c 7.4189
_cell_angle_alpha 90.00
_cell_angle_beta 115.15
_cell_angle_gamma 90.00
loop_
_atom_site_label
_atom_site_type_symbol
_atom_site_fract_x
_atom_site_fract_y
_atom_site_fract_z
Li1 Li 0.0000 0.0000 0.0000
Li2 Li 0.0014 0.0000 0.4966
Li3 Li 0.1285 0.5000 0.3378
Li4 Li 0.3759 0.0000 0.6584
Be1 Be 0.2436 0.5000 0.0654
Be2 Be 0.2542 0.0000 0.9254
Ge1 Ge 0.2032 0.5000 0.7354
Ge2 Ge 0.2992 0.0000 0.2570
```

---

(2)
# Li2Be2Ni5Ge
Theoretical powder diffraction line list, Cu Kα X-rays. Input: a cell relaxed with GGA-PBE.
No peak broadening, texture or thermal motion is included.

Main lines, in order of rising 2θ (2θ from 15° to 90°):
- hkl 2 0 0, 2θ = 20.97°, rel. 41